
Meet The Critic’s 2020-2021 Executive Board!

In a unanimous vote during a The Critic club meeting in the spring, a new Executive Board was elected to run the Northern Vermont University – Lyndon student newspaper for the 2020-2021 academic year. The Critic met on April 24 where Alexandra Huff was reelected as Editor-in-Chief, Kaitlin Flannigan was appointed the new club Treasurer, and Becca Fauteux was reelected as Student Government Association (SGA) Representative. Coming into the school year, The Critic is still looking to fill the positions of Associate Editor and Secretary.


Meet Editor-in-Chief Alexandra Huff

My name is Alexandra Huff, though most friends on campus know me as Alex or Hufflepuff. I am beginning my third year at NVU-Lyndon, studying both Broadcast & Digital Journalism and Digital Communications, PR & Marketing. At the same time, I am minoring in Business and Commercial Production.

Molecular data that have nothing to do with the text
/*
Molecular formula: C52H128F14N10O30S6
Method: DFT, ωB97M-V/def2-TZVPD

Each line ends with the Löwdin charge.
CARTESIAN COORDINATES (ANGSTROEM)
1 S 1.4887 -1.8946 1.4448  0.57
2 S 0.7835 1.9758 4.2662  0.43
3 S 6.9753 2.0035 -0.0300  0.50
4 S -0.3220 -3.2944 -0.2919  0.46
5 S -3.4117 1.5726 -2.5009  0.64
6 S -4.4886 3.8840 -1.1552  0.69
7 F -1.8008 -0.3430 -2.6421  0.08
8 F -1.8890 0.3748 -0.6277  0.18
9 F 2.4246 -2.4550 0.1564  -0.26
10 F 6.6496 0.3580 2.1134  0.12
11 F -4.7159 4.0678 -3.6506  0.18
12 F 0.6775 -4.5230 -0.5786  -0.21
13 F 8.6772 0.8208 1.6592  0.17
14 F -1.5728 1.4775 3.0484  0.10
15 F -1.5882 1.0561 5.1919  0.09
16 F -1.5276 3.1027 4.4860  0.10
17 F -3.4196 5.5789 -2.8623  0.20
18 F -0.8380 1.5898 -2.0311  0.11
19 F -5.5049 5.7946 -2.5303  0.16
20 F 7.3960 2.2848 2.6744  0.06
21 O -0.4548 0.6209 -6.2201  -0.17
22 O 5.6057 2.4424 0.0635  -0.30
23 O 4.2088 4.8935 1.0009  -0.19
24 O -1.4890 -4.0737 -0.0621  -0.32
25 O 3.5778 -0.8842 8.0215  -0.17
26 O 1.2808 0.6318 4.4148  -0.31
27 O -4.3901 0.6304 -1.9846  -0.30
28 O 1.4189 -0.4751 1.1842  -0.28
29 O -4.1654 -1.0234 2.6667  -0.16
30 O -3.9798 -5.0488 -2.7294  -0.21
31 O -4.0771 4.6930 -0.0617  -0.26
32 O -7.4413 1.5620 0.1530  -0.18
33 O -0.3345 0.9590 -10.1248  -0.20
34 O -3.3426 1.7562 -3.9570  -0.28
35 O -4.7539 -10.0309 -4.7565  -0.21
36 O -3.2328 -5.2262 8.2441  -0.21
37 O 5.1828 4.3512 -3.8961  -0.19
38 O 5.4779 -4.6907 -0.8813  -0.20
39 O -0.2419 -2.4118 -1.4338  -0.31
40 O 0.8910 2.5992 2.9639  -0.34
41 O 5.3304 3.9663 6.5908  -0.17
42 O -3.0656 -5.5753 4.0049  -0.20
43 O -0.3195 5.8757 -2.8586  -0.18
44 O 7.1412 0.8704 -0.8836  -0.28
45 O -1.6005 6.8297 1.0956  -0.22
46 O -5.7742 3.1886 -1.1207  -0.29
47 O 3.4290 -0.1816 -3.0713  -0.18
48 O 1.0453 2.8368 5.3781  -0.31
49 O 2.0394 -2.4199 2.6392  -0.24
50 O 7.8743 3.1615 -0.2106  -0.33
51 N -1.8282 2.1020 -8.1861  0.06
52 N 4.1255 1.8006 7.6495  0.06
53 N -4.5072 -4.7889 5.9169  0.08
54 N 0.1561 -2.6484 1.0298  -0.32
55 N 4.5501 -2.5333 -1.7633  0.04
56 N -3.2079 2.8666 -1.5863  -0.30
57 N -4.8655 1.1150 0.5655  0.03
58 N 6.6310 5.5560 -0.5735  0.05
59 N -4.1556 -7.6303 -3.7802  0.05
60 N -0.7499 4.7575 -0.2268  0.09
61 C 0.2842 -0.4120 -5.6286  -0.07
62 C -1.0663 1.8682 4.2254  -0.64
63 C 5.3425 5.4641 1.5655  -0.24
64 C -4.4354 -7.7472 -5.2955  -0.05
65 C 3.9641 3.9737 6.8316  -0.24
66 C 5.9019 3.7366 5.2094  0.00
67 C -0.2565 6.1864 -4.2216  -0.11
68 C 6.2463 4.6239 -2.9523  -0.17
69 C 0.8575 1.2236 -10.7373  -0.15
70 C 3.5036 3.0626 7.9331  -0.11
71 C 6.2217 -5.6357 -0.1652  -0.07
72 C -1.8752 -6.1709 3.4153  -0.05
73 C -2.5182 1.5238 -7.0174  -0.09
74 C -2.4974 1.6947 -9.5160  -0.06
75 C -5.5052 2.0221 1.5384  -0.09
76 C -2.4620 -5.7835 9.2572  -0.09
77 C 7.4752 1.3220 1.6670  -0.61
78 C -5.1262 -0.3572 0.6278  -0.07
79 C 4.6843 0.9990 8.8570  -0.06
80 C 0.3751 4.7001 -2.4652  -0.19
81 C 4.8013 -0.2178 -2.6783  -0.20
82 C 6.0400 6.3303 0.5883  -0.09
83 C -3.4378 -1.9597 3.3405  -0.12
*/

I became involved with The Critic by stumbling upon the club’s table at an Involvement Fair during my first year on campus. I didn’t know how much I wanted to dedicate myself to the paper at the time, but I very quickly fell in love with the staff and the history of The Critic. Since then, I have written about student projects and achievements, fall and winter sports, and  taking photos to accompany our social media and various articles. I am serving as The Critic’s Editor-in-Chief for my second consecutive year, having previously served as Associate Editor my first year at college.

Data records, kept here for reference
********
The following is a DFT calculation (the ωB97M-V functional and the def2-TZVPD basis) of a molecular structure, C51H48BaN4O8S at a distorted geometry.

Properties
ΔE to the lowest compared entry with this formula, charge and spin = 75.7 kJ/mol
Electronic energy = -87540.0532 eV
Max |F| = 0.0784 hartree/bohr
LUMO energy = 3.84 eV

```
! wB97M-V def2-TZVPD RIJCOSX def2/J DEFGRID3
* xyz -2 1
Ba 1.09835 -0.05242 0.92743
C -2.75082 3.22582 -2.56369
C -3.05053 2.95664 -1.09362
C -4.26696 3.72184 -0.63037
O -3.27924 1.58737 -0.86340
C -1.98282 1.02869 -0.60875
C -1.29056 2.12958 0.23864
O -1.89635 3.31565 -0.32878
C -1.22495 2.08094 1.81251
O -0.88343 0.81373 2.16616
C -0.10666 3.05816 2.31984
C 0.27234 2.91308 3.65707
C 1.30058 3.66490 4.19497
C 1.97771 4.59413 3.40643
C 1.59331 4.76870 2.08930
C 0.55258 4.00736 1.55148
C -2.52241 2.57037 2.52267
C -3.16561 1.66254 3.35023
C -4.29339 2.02499 4.08252
C -4.78636 3.32118 4.01127
C -4.12925 4.25292 3.20902
C -3.00716 3.88226 2.47810
C -1.95892 -0.50223 -0.29477
O -0.63168 -0.86027 -0.30237
C -2.72876 -0.90547 0.97479
C -3.98541 -0.39828 1.29869
C -4.69788 -0.89883 2.38394
C -4.17087 -1.92278 3.16134
C -2.91805 -2.44165 2.83622
C -2.21603 -1.94033 1.75071
C -2.66040 -1.21684 -1.52202
C -3.78905 -2.03590 -1.49474
C -4.27513 -2.63982 -2.65571
C -3.64408 -2.44414 -3.87434
C -2.49593 -1.65800 -3.91369
C -2.01346 -1.07223 -2.75451
H -3.60790 2.93334 -3.17768
H -1.87485 2.65723 -2.88433
H -2.54543 4.29128 -2.70543
H -5.11240 3.49490 -1.28519
H -4.06103 4.79521 -0.66279
H -4.51155 3.43862 0.39230
H -1.42730 1.05483 -1.55092
H -0.24474 2.12565 -0.06192
H -0.23334 2.16116 4.25251
H 1.60666 3.50527 5.22182
H 2.81511 5.14801 3.81230
H 2.11873 5.48107 1.46216
H 0.25769 4.16439 0.52194
H -2.74663 0.66050 3.40023
H -4.78674 1.28995 4.71050
H -5.66186 3.60939 4.58257
H -4.48891 5.27547 3.16079
H -2.49003 4.61901 1.87521
H -4.40486 0.40613 0.70597
H -5.66780 -0.47571 2.62771
H -4.72264 -2.30894 4.00866
H -2.48756 -3.24000 3.43527
H -1.24761 -2.34488 1.47325
H -4.30423 -2.22101 -0.56241
H -5.15456 -3.27272 -2.59624
H -4.02634 -2.90746 -4.77532
H -1.96719 -1.51218 -4.84972
H -1.08433 -0.51266 -2.78794
C 3.47037 -4.99298 -5.84738
C 3.68527 -4.10313 -4.64684
C 4.95558 -3.63645 -4.31494
C 5.14714 -2.79387 -3.22287
C 4.05585 -2.40977 -2.45852
C 2.78099 -2.86955 -2.77173
C 2.60387 -3.70983 -3.85912
S 4.25493 -1.28814 -1.08184
O 3.70217 -0.03871 -1.56597
O 5.66884 -1.28799 -0.77166
N 3.30644 -1.82883 0.03307
C 3.57320 -3.04113 0.66114
C 4.57581 -3.94866 0.33682
C 4.75146 -5.15932 1.03336
C 3.95023 -5.51213 2.07834
C 2.92056 -4.62276 2.46775
C 2.06964 -4.89882 3.56252
C 1.12391 -3.99624 3.94373
C 1.00339 -2.80483 3.20299
N 1.73916 -2.53117 2.15586
C 2.71704 -3.40469 1.77491
H 4.42146 -5.35333 -6.24453
H 2.95797 -4.45201 -6.64717
H 2.85555 -5.86093 -5.59581
H 5.80934 -3.94491 -4.91415
H 6.13215 -2.43349 -2.94552
H 1.93726 -2.57093 -2.15337
H 1.60614 -4.07323 -4.09699
H 5.26922 -3.70707 -0.45419
H 5.55772 -5.81918 0.73195
********

I would like to thank our readers for standing by us as The Critic continues to evolve in this new world and build itself up to be the best it can be. Let us write our names in the history of our community!


Meet Treasurer Kaitlin Flannigan

Hello, my name is Kaitlin Flannigan and I am the new Treasurer of The Critic year 2020-2021. I go by Katie, with the pronouns she/her. I’m majoring is Broadcast and Digital Journalism, I am also getting an associate in Psychology and possibly a minor in Film Studies. I occasionally write articles for The Critic.

I got involved with The Critic last semester, being in my first year. My goal is to collect more readers and writers over this upcoming year. I personally am really excited to be more involved and look forward to what this year will bring.


Meet SGA Representative Becca Fauteux

........
No. 1
The following is a DFT calculation (wB97M-V/def2-TZVPD) of the molecule C19H21F3N2O3.

2S+1 ... 1
SMILES ... COc1cccc(CN(C)CC(=O)Nc2cccc(C(F)(F)F)c2)c1OC
ΔE to the lowest compared entry with this formula, charge and spin ... 44.7 kcal/mol
Total energy ... -37319.312 eV
Gap between HOMO and LUMO ... 9.00 eV
Charge ... 0
HOMO ... -0.312 hartree

Each line ends with the Mulliken charge.
Cartesian coordinates (Å):
C1 2.230 0.305 -3.866  -1.0173
O1 1.954 -0.249 -2.603  -0.2748
C2 0.998 -1.221 -2.506  0.6064
C3 0.267 -1.698 -3.588  -0.4980
C4 -0.717 -2.653 -3.409  -1.0244
C5 -0.992 -3.138 -2.147  -0.6957
C6 -0.264 -2.696 -1.052  0.8628
C7 -0.553 -3.210 0.333  -1.1055
N1 -0.948 -2.122 1.212  0.4954
C8 -0.987 -2.509 2.605  -1.2673
C9 -2.164 -1.446 0.806  -0.5725
C10 -2.096 0.044 1.144  0.5046
O2 -3.082 0.712 1.360  -0.7012
N2 -0.813 0.492 1.126  0.2818
C11 -0.329 1.771 1.343  0.5803
C12 1.052 1.971 1.270  -0.3664
C13 1.594 3.223 1.472  -0.8427
C14 0.776 4.306 1.752  -0.7331
C15 -0.595 4.105 1.831  -0.1538
C16 -1.504 5.269 2.102  1.0107
F1 -0.883 6.285 2.726  -0.2836
F2 -2.010 5.791 0.965  -0.2593
F3 -2.559 4.948 2.866  -0.2620
C17 -1.159 2.854 1.627  -0.5134
C18 0.744 -1.745 -1.226  0.3136
O3 1.405 -1.334 -0.092  -0.3460
C19 2.812 -1.193 -0.153  -1.0658
H1 1.349 0.796 -4.291  0.3807
H2 3.006 1.049 -3.694  0.2408
H3 2.603 -0.450 -4.565  0.3952
H4 0.452 -1.316 -4.579  0.4402
H5 -1.276 -3.006 -4.262  0.3787
H6 -1.769 -3.875 -2.006  0.3956
H7 0.361 -3.641 0.752  0.3902
H8 -1.317 -4.005 0.281  0.3380
H9 -1.241 -1.637 3.206  0.3758
H10 -1.725 -3.300 2.807  0.3519
H11 -0.002 -2.865 2.907  0.2959
H12 -3.072 -1.869 1.260  0.3390
H13 -2.270 -1.511 -0.281  0.2933
H14 -0.123 -0.238 0.944  -0.1838
H15 1.689 1.128 1.052  0.4628
H16 2.662 3.364 1.411  0.3943
H17 1.192 5.287 1.912  0.4475
H18 -2.226 2.713 1.690  0.6382
H19 3.107 -0.255 -0.629  0.3009
H20 3.153 -1.206 0.882  0.2946
H21 3.270 -2.025 -0.693  0.3573


No. 2
The following is a DFT calculation (wB97M-V/def2-TZVPD) of the molecule C19H21F3N4O2.

2S+1 ... 1
SMILES ... Cn1cc(CNC(=O)[C@H]2CCC(=O)N(Cc3cccc(C(F)(F)F)c3)C2)cn1
ΔE to the lowest compared entry with this formula, charge and spin ... 0.0 kcal/mol
Total energy ... -38253.575 eV
Gap between HOMO and LUMO ... 9.40 eV
Charge ... 0
HOMO ... -0.328 hartree

Each line ends with the Mulliken charge.
Cartesian coordinates (Å):
C1 -2.587 -1.544 -2.302  -0.9392
N1 -1.754 -1.977 -1.218  0.8926
C2 -0.459 -1.669 -1.021  -0.4028
C3 -0.049 -2.347 0.112  0.4935
C4 1.293 -2.341 0.762  -1.0631
N2 1.875 -1.014 0.722  0.2907
C5 3.167 -0.793 0.421  0.3263
O1 3.970 -1.686 0.244  -0.7148
C6 3.595 0.676 0.305  0.3438
C7 3.818 1.009 -1.173  -1.2528
C8 2.498 0.873 -1.916  -0.4337
C9 1.306 1.513 -1.232  0.6544
O2 0.259 1.691 -1.828  -0.6431
N3 1.419 1.835 0.081  0.0993
C10 0.284 2.515 0.697  -2.0066
C11 -0.822 1.547 1.043  1.0093
C12 -0.679 0.638 2.086  -0.2237
C13 -1.677 -0.277 2.371  -0.7718
C14 -2.852 -0.280 1.641  -0.8067
C15 -3.005 0.641 0.613  0.2100
........

Im Becca Fauteux, and I go by she/her pronouns. I major in Illustration and Graphic Design, and Im a fourth year. Ive been involved with The Critic since my first year, so its simultaneously my fourth year at NVU-Lyndon and at The Critic. Ive held the position of SGA Representative for two years going on three. My duty as Rep is to attend SGA meetings and write reports summarizing the events of each meeting. I also write and illustrate a music review column called Left of The Dial” (LOTD for short), which focuses on albums I find obscure and worth exposing to a larger audience.

I was initially drawn into The Critic with a request for artists and designers but ended up getting into writing since the club was so short-staffed at the time. I hope that this year, we can get at least one print copy of The Critic issued and keep making steps toward providing a wide variety of content for our readers.

As my closing note, I’d like to say that I’m highly grateful for our readers since they’ve been so patient with us as we build the club back up from the ashes.I’m looking forward to seeing them again this year, and I hope they’ll continue to enjoy my reports, columns, and illustrations!